Small Business

How to Track Equipment with Inventory Software

November 30, 2022

Did you know that poor inventory planning costs retailers $300 billion in revenue in markdowns in 2018? For small business owners, tracking equipment inventory saves time and money. Equipment inventory tracking software can therefore improve efficiency and prevent costly mistakes.

How Inventory Software Tracks Your Small Business Equipment

How Equipment Inventory Tracking Software Works

Equipment inventory tracking software offers tangible benefits to companies needing to manage inventory and equipment. By utilizing barcodes, RFID (radio-frequency identification) tags, or GPS (global positioning system) tracking, employees can easily track equipment in the field and get immediate insights about inventory levels and asset positions. Pairing equipment inventory tracking software with accounting or CRM (customer relationship management) systems can also allow you to link inventory with financials. This can help you decide when it’s time to order new inventory, when equipment should be repaired or sent back for repairs, or how to best allocate equipment among your various clients.

This means inventory management software should aid small business owners in saving time and money.

Benefits of Equipment Inventory Tracking Software

Using equipment inventory tracking software offers numerous benefits for small businesses, including:

1. Accurate Inventory Management:

For example, equipment inventory tracking software allows you to count the right amount of assets, so that your inventory is neither overstocked nor depleted. In that case, you will never run out of stock, or have unproductive capital tied up in unused equipment.

2. Enhanced Equipment Tracking:

For companies with many small equipment pieces would be in creating an asset tracking system for each one as it can be quite difficult to keep such a large amount of equipment in one place. Equipment inventory tracking softwares helps in viewing places where your equipment is, how they can be used and their conditions to help you take better care of your assets properly.

3. Improved Maintenance Scheduling:

Maintenance of your equipment will ensure longevity of your equipment. An equipment inventory tracking software helps you keep track of when your equipment was maintained, when your equipment was serviced and when your equipment is going to run out of warranty. This helps you not to lose on the important maintenance that could cost you breakdowns because it was missed.

4. Cost Control and Reporting:

Equipment inventory tracking software links to your accounting software so that you can track the cost of each piece of equipment, enabling you to make informed decisions about whether to repair or replace an asset and reduce your business’s cost base.

How Inventory Software Tracks Your Small Business Equipment

How to Track Equipment Inventory: Key Features of Tracking Software

To effectively track equipment inventory, look for software that offers these key features:

1. Barcode and Scanner Integration:

Checking out equipment with real-time barcode scanning keeps a log of who borrowed it, when they borrowed it, and when it's due back. This helps you manage equipment usage and availability. In just a couple of clicks, you'll know where assets are and how they're being used.

== Inserted here: records of molecules ==
/*
1.
Computed, not measured: C31H52BrN4P3Pb as an isolated structure in a non-equilibrium geometry, with the ωB97M-V functional and the def2-TZVPD basis.

The molar mass is 860.81 g/mol. As for the spin multiplicity: 1. The frontier orbital gap comes out at 3.5 eV. As for the maximum force: 0.109 hartree/bohr. As for the charge: +2.

Cartesian coordinates (Å):
N 2.492 -0.636 -8.424
C 2.557 -1.546 -7.468
C 1.805 -1.480 -6.283
C 0.870 -0.405 -6.039
C 0.866 0.563 -7.098
C 1.646 0.371 -8.247
C -0.084 -0.471 -4.924
Pb -2.197 0.811 -3.066
P -3.589 0.212 0.246
C -0.277 0.355 -3.747
C -0.159 -0.602 -2.496
C -1.145 -1.572 -2.207
C -1.023 -2.469 -1.143
C 0.179 -2.553 -0.411
C 1.270 -1.862 -0.957
C 1.093 -0.852 -1.918
Br 0.107 -3.527 1.153
H -0.520 -1.469 -4.846
H 0.142 1.369 -3.709
H 1.973 -2.272 -5.544
H 0.236 1.437 -7.042
H 3.253 -2.360 -7.644
H 1.602 1.078 -9.064
H -1.982 -1.761 -2.898
H 1.931 -0.305 -2.324
H -1.827 -3.146 -0.934
H 2.287 -2.083 -0.646
P -1.261 2.621 0.108
C -3.841 -1.623 0.474
C -4.855 -2.271 1.419
H -2.840 -2.001 0.733
H -4.068 -1.970 -0.549
H -4.662 -3.356 1.459
H -4.780 -1.928 2.455
H -5.891 -2.154 1.075
C -5.348 0.787 0.590
C -6.065 0.526 1.910
H -5.928 0.347 -0.239
H -5.307 1.874 0.418
H -7.065 0.968 1.869
H -6.212 -0.545 2.099
H -5.547 0.988 2.762
C -2.971 0.562 2.004
C -3.327 -0.187 3.288
H -3.222 1.629 2.143
H -1.875 0.499 1.891
H -2.865 0.347 4.129
H -4.397 -0.205 3.519
H -2.949 -1.214 3.329
C -0.611 2.857 1.846
C 0.306 4.025 2.225
H -0.103 1.911 2.087
H -1.510 2.905 2.478
H 1.319 3.923 1.814
H -0.096 5.005 1.938
H 0.410 4.030 3.318
C -2.147 4.251 0.030
C -2.631 4.736 -1.329
H -1.469 4.983 0.469
H -3.009 4.126 0.700
H -1.830 5.231 -1.888
H -3.037 3.925 -1.945
H -3.420 5.480 -1.176
C 0.299 2.967 -0.805
C 1.476 2.086 -0.367
H 0.526 4.028 -0.665
H 0.078 2.789 -1.872
H 2.045 1.739 -1.234
H 2.173 2.624 0.283
H 1.163 1.175 0.167
C 3.816 -2.620 4.437
N 4.060 -3.431 3.221
C 5.409 -3.199 2.664
N 5.656 -1.757 2.415
C 5.433 -1.004 3.669
N 4.067 -1.180 4.211
C 3.059 -0.582 3.349
P 3.026 -1.390 1.661
C 3.039 -3.183 2.213
C 4.855 -1.240 1.315
H 4.499 -2.966 5.231
H 2.768 -2.755 4.750
H 5.491 -3.749 1.719
H 6.151 -3.561 3.394
H 5.603 0.063 3.467
H 6.151 -1.373 4.425
H 2.059 -0.686 3.804
H 3.267 0.493 3.227
H 3.214 -3.811 1.337
H 2.067 -3.402 2.656
H 5.085 -0.178 1.157
H 5.063 -1.804 0.397

Formally, the Löwdin partial charges of the atoms, in units of the elementary charge, are as follows:
1 N 0.10
2 C -0.11
3 C 0.01
4 C -0.17
5 C 0.01
6 C -0.10
7 C 0.08
8 Pb 1.47
9 P 0.88
10 C -0.45
11 C -0.35
12 C -0.17
13 C -0.11
14 C -0.65
15 C -0.10
16 C -0.02
17 Br 0.97
18 H 0.14
19 H 0.10
20 H 0.12
21 H 0.11
22 H 0.13
23 H 0.12
24 H 0.10
25 H 0.13
26 H 0.10
27 H 0.06
28 P 0.92
29 C -0.44
30 C -0.14
31 H 0.04
32 H 0.06
33 H 0.09
34 H 0.05
35 H 0.08
36 C -0.41
37 C -0.14
38 H 0.08
39 H 0.06
40 H 0.09
41 H 0.05
42 H 0.07
43 C -0.44
44 C -0.14
45 H 0.06
46 H 0.04
47 H 0.09
48 H 0.05
49 H 0.08
50 C -0.41
51 C -0.12
52 H 0.07
53 H 0.07
54 H 0.06
55 H 0.07
*/
== End of the records of molecules ==

2. Image Upload for Equipment:

Upload images of your equipment into the software so that you can easily catalog and access visual records of your items. This comes in handy when you need to see what you have and how it’s holding up, especially if damage or maintenance is noted.

3. Maintenance and Service Tracking:

The ability to track maintenance and service dates with equipment inventory software means you'll never forget to make a repair or perform maintenance when the time comes. This preventive maintenance keeps essential equipment up to date and running while also being able to track software licensing as well as prevent nasty surprises when the licenses are nearing their end. This reduces costly downtime, as well as the unexpected expense of renewing licenses for equipment and software that you might otherwise overlook.

4. Warranty and Expiration Alerts:

Track warranty and expiration dates in your software and be notified before these things expire so you can avoid last-minute repair costs.

5. Reorder and Maintenance Notifications:

Stay on top of inventory needs with automatic alerts to reorder supplies or perform maintenance on equipment, so you can stay on top of your business.

Using Equipment Inventory Tracking Software as Your Equipment Management System

An effective system of keeping track of equipment inventory is critical for the smooth running of your business. Equipment inventory software will keep accurate records of your equipment inventory, help you manage maintenance, and track costs. This will, in turn, boost your profitability. Are you ready to start controlling your equipment inventory? Consider implementing equipment inventory tracking software that meets your needs.

Britecheck will help you manage your inventory, track equipment utilization and avoid costly charges with simple sorting and filtering.

Give Britecheck a try today with a 15-day money back guarantee. You will be amazed at how easy equipment management can be.